
Trump’s ‘fraud’ charges run real risk of costing GOP Senate runoffs in Georgia

‘If voters believe the game is rigged, why should they bother playing?’

President Trump and his supporters have reason to be sore about how they’ve been treated. But their anger about the hypocrisy of their opponents and hard feelings about the way Joe Biden won shouldn’t encourage them to give up.

That’s the danger of promoting the belief that the 2020 election was “fixed”: It could mean letting Democrats win the two all-important Georgia Senate runoff races, giving the left undivided control.

There were plenty of irregularities, and legitimate concerns about mail-in ballots are worthy of investigation. But the conspiracy theories being floated about software flipping millions of votes from Trump to Biden could be the best thing that ever happened to the Democrats: Republicans concluding their votes don’t matter.

A lot of Republicans sound like sore losers now. But you could have said the same thing about Democrats after Trump won in 2016. Democrats not only refused to accept the legitimacy of Trump’s 2016 win, they spent the four years that followed trying to discredit the ­results by falsely claiming it was the product of Russian intervention. They relentlessly promoted a “collusion” theory that turned out to be utter bunk.

The media didn’t even bother to pretend to be ­fair or objective in their coverage of the administration — or in their willingness to protect Biden from scrutiny at ­every step. And liberal social-media oligarchs censored those, like reporters for this paper, who investigated Dem scandals.

All this means the 2020 election wasn’t an entirely fair fight. Still, the novel-coronavirus pandemic and general Trump fatigue clearly cost the president the election. Pretending that he really “won” isn’t going to help anyone, least of all the GOP.

Many of the president’s followers are drawing dark lessons from his accusations. If you think — as Trump keeps telling us — that elections are rigged, why bother voting?

That’s the conclusion some on the right are coming to about the Georgia Senate runoffs. Some Trump voters intend to boycott the runoffs. They’re accusing the two GOP candidates — Sens. Kelly Loeffler and David Perdue — of being insufficiently zealous in supporting efforts to overturn the election results. ‘

This is in spite of the fact that they were pressured into calling for the resignation of Georgia’s Trump-supporting Republican secretary of state, who oversaw the voting and who is wrongly accused of being complicit in Biden allegedly stealing the state.

That’s one of the problems with conspiracies. Anyone who doesn’t accept all of the theory’s assumptions is regarded as part of the conspiracy. If some GOP voters now think this way, the blame ­belongs to Trump, because he has taught his followers to believe that the only way he could lose would be by massive fraud.

-- Data records from another source follow --
=====
Record 1
Computed XRD peak list
Compound: LiTaPdO5
Radiation: Cu Kα (weighted mean of Kα1 and Kα2)
Structure: a cell relaxed with PBE
Kinematic intensities with the Lorentz-polarization factor, no thermal factor.

Structure:
a = 7.3234 Å, b = 8.4660 Å, c = 7.4771 Å
α = 90.00°, β = 117.14°, γ = 90.00°
Space group C2/c (No. 15)
Inequivalent atoms, fractional coordinates:
Li (0.0000, 0.2091, 0.2500) x4
Ta (0.0000, 0.5000, 0.0000) x4
Pd (0.0000, 0.1271, 0.7500) x4
O (0.0000, 0.4336, 0.2500) x4
O (0.0415, 0.2763, 0.9621) x8
O (0.1965, 0.0443, 0.3640) x8

The 6 most intense peaks (10 to 90 degrees two-theta), by angle:
| 2θ/deg | I/Imax | h k l |
| --- | --- | --- |
| 17.17 | 43 | 1 1 0 |
| 20.99 | 35 | 0 2 0 |
| 26.10 | 100 | 1 1 -2 |
| 27.37 | 57 | 2 0 0 |
| 34.64 | 37 | 1 3 0 |
| 37.06 | 25 | 1 1 2 |

Record 2
Computed XRD peak list
Compound: LaNi5H7
Radiation: Cu Kα (weighted mean of Kα1 and Kα2)
Structure: a cell relaxed with PBE
Kinematic intensities with the Lorentz-polarization factor, no thermal factor.

Structure:
a = 5.3251 Å, b = 5.3251 Å, c = 8.5777 Å
α = 90.00°, β = 90.00°, γ = 120.00°
Space group P31c (No. 159)
Inequivalent atoms, fractional coordinates:
La (0.0000, 0.0000, 0.0000) x2
Ni (0.0022, 0.5002, 0.2333) x6
Ni (0.3333, 0.6667, 0.4634) x2
Ni (0.3333, 0.6667, 0.9868) x2
H (0.0119, 0.5059, 0.5401) x6
H (0.1462, 0.8519, 0.2528) x6
H (0.3333, 0.6667, 0.7990) x2

The 6 most intense peaks (10 to 90 degrees two-theta), by angle:
| 2θ/deg | I/Imax | h k l |
| --- | --- | --- |
| 28.42 | 44 | 1 0 2 |
| 33.66 | 30 | 1 1 0 |
| 39.06 | 36 | 2 0 0 |
| 39.85 | 100 | 1 1 2 |
| 42.14 | 27 | 0 0 4 |
| 64.38 | 23 | 3 0 2 |

Record 3
Computed XRD peak list
Compound: Pa2Zn15Au2
Radiation: Cu Kα (weighted mean of Kα1 and Kα2)
Structure: a cell relaxed with PBE
Kinematic intensities with the Lorentz-polarization factor, no thermal factor.

Structure:
a = 8.9944 Å, b = 8.9944 Å, c = 13.2510 Å
α = 90.00°, β = 90.00°, γ = 120.00°
Space group R-3m (No. 166, hexagonal axes)
Inequivalent atoms, fractional coordinates:
Pa (0.0000, 0.0000, 0.1574) x6
Zn (0.0000, 0.2948, 0.5000) x18
Zn (0.0000, 0.5000, 0.0000) x9
Zn (0.0115, 0.5058, 0.6506) x18
Au (0.0000, 0.0000, 0.3880) x6

The 6 most intense peaks (10 to 90 degrees two-theta), by angle:
| 2θ/deg | I/Imax | h k l |
| --- | --- | --- |
| 19.74 | 62 | 1 1 0 |
| 34.54 | 86 | 3 0 0 |
| 35.58 | 68 | 0 2 4 |
| 40.10 | 100 | 2 2 0 |
| 40.29 | 75 | 0 3 3 |
| 41.01 | 58 | 2 1 4 |

Record 4
Computed XRD peak list
Compound: CuAg
Radiation: Cu Kα (weighted mean of Kα1 and Kα2)
Structure: a cell relaxed with PBE
Kinematic intensities with the Lorentz-polarization factor, no thermal factor.

Structure:
a = 4.7779 Å, b = 4.7794 Å, c = 7.2753 Å
α = 108.79°, β = 102.70°, γ = 99.67°
Space group P-1 (No. 2)
Inequivalent atoms, fractional coordinates:
Cu (0.0000, 0.0000, 0.0000) x1
Cu (0.1060, 0.1966, 0.7027) x2
Cu (0.4002, 0.8088, 0.8082) x2
Ag (0.1859, 0.3855, 0.3923) x2
Ag (0.2999, 0.6052, 0.0957) x2
=====

The consequences of this craziness are potentially enormous. If Loeffler and Perdue are defeated, Democrats will win control of the Senate. Then there will be nothing to stop them from ending the filibuster, allowing Biden to pack the Supreme Court, passing a dangerously radical Green New Deal — and granting statehood to the District of Columbia and maybe even Puerto Rico, thus creating potentially four more Democratic senators.

Someone pasted materials data at this point
(1)
Computed powder diffractogram of Sr3Cu2Sb3 for λ = 1.5418 Å (Cu Kα), from a crystal structure in Alexandria, relaxed with PBE.

Peak list (8 most intense, 2θ from 10° to 90°, low angle first)
| d [Å] | 2theta | I_rel |
| --- | --- | --- |
| 3.034 | 29.44 | 77 |
| 2.981 | 29.98 | 36 |
| 2.922 | 30.59 | 73 |
| 2.662 | 33.67 | 32 |
| 2.636 | 34.01 | 100 |
| 2.416 | 37.22 | 54 |
| 2.291 | 39.32 | 50 |
| 1.622 | 56.75 | 29 |

Structural model:
Cell: 6.4885 6.4885 15.9727 Å, 90.00 90.00 138.64°
Element x y z (fractional)
Sr (0.0762, 0.9238, 0.6034)
Sr (0.0762, 0.9238, 0.8966)
Sr (0.3489, 0.6511, 0.7500)
Sr (0.6511, 0.3489, 0.2500)
Sr (0.9238, 0.0762, 0.1034)
Sr (0.9238, 0.0762, 0.3966)
Cu (0.2329, 0.7671, 0.0995)
Cu (0.2329, 0.7671, 0.4005)
Cu (0.7671, 0.2329, 0.5995)
Cu (0.7671, 0.2329, 0.9005)
Sb (0.3519, 0.6481, 0.2500)
Sb (0.3590, 0.6410, 0.5465)
Sb (0.3590, 0.6410, 0.9535)
Sb (0.6410, 0.3590, 0.0465)
Sb (0.6410, 0.3590, 0.4535)
Sb (0.6481, 0.3519, 0.7500)

=====

(2)
Computed powder diffractogram of Ti3ZnN for λ = 1.5418 Å (Cu Kα), from a crystal structure in Alexandria, relaxed with PBE.

Peak list (8 most intense, 2θ from 10° to 90°, low angle first)
| d [Å] | 2theta | I_rel |
| --- | --- | --- |
| 2.373 | 37.92 | 100 |
| 2.060 | 43.95 | 21 |
| 2.053 | 44.12 | 40 |
| 1.454 | 64.04 | 23 |
| 1.451 | 64.17 | 11 |
| 1.241 | 76.78 | 11 |
| 1.238 | 77.02 | 21 |
| 1.187 | 81.04 | 11 |

Structural model:
Cell: 5.8057 5.8057 4.1201 Å, 90.00 90.00 90.00°
Element x y z (fractional)
Ti (0.0000, 0.0000, 0.0000)
Ti (0.2384, 0.2616, 0.5000)
Ti (0.2616, 0.7617, 0.5000)
Ti (0.5000, 0.5000, 0.0000)
Ti (0.7383, 0.2384, 0.5000)
Ti (0.7617, 0.7383, 0.5000)
Zn (0.0000, 0.5000, 0.0000)
Zn (0.5000, 0.0000, 0.0000)
N (0.0000, 0.0000, 0.5000)
N (0.5000, 0.5000, 0.5000)

Perhaps some people think Trump losing is the end of the world. But for the rest of us — who will have to live in an America made unrecognizable by legislation backed by the likes of Rep. Alexandria Ocasio-Cortez and her socialist Squad — there is something still worth a fight.

Given that the two Democrats running in Georgia are left-wingers, it would be a scandal if they skate to victory because Republicans don’t turn out.

The president has said he will campaign for Loeffler and Perdue, but he has to do more than just show up in Georgia. He may spend the rest of his life claiming he was cheated, but he has to make it clear to his fans that their votes do matter — something that was made ­obvious by the many down-ballot victories scored by the GOP.

Whether or not Trump is serious about running again in 2024, he owes it to the people who voted for him — and the country — to do everything in his power to end the conspiracy mongering and stop a Democratic takeover of the Senate.

Jonathan S. Tobin is editor in chief of JNS.org.

Twitter: @JonathanS_Tobin